Type out every line further below that contains the word "overall".

/*
(1)
A 7-piece molecular cluster, C27H56NO21PS overall, computed with ωB97M-V with the def2-TZVPD basis set.

## Properties
- Orbital gap: 0.355 Ha
- Electronic energy: -93519.1290 eV
- 2S+1: 1
- Relative energy (zero: lowest compared OMol25 entry of this formula, charge and spin): 0.00 kcal per mole

CARTESIAN COORDINATES (ANGSTROEM)
C: 3.86 -1.58 -0.35
C: 3.40 -0.14 -0.09
C: 3.93 0.82 -1.15
C: 3.48 2.27 -0.98
O: 3.24 2.57 0.42
C: 2.02 2.98 0.80
O: 1.51 2.62 1.82
N: 1.43 3.93 -0.10
C: -0.04 3.94 -0.06
O: -0.46 2.62 -0.20
C: -1.88 2.50 -0.23
C: -2.26 1.06 0.06
C: -2.45 0.16 -1.17
P: 2.14 5.48 -0.03
S: 1.44 6.72 1.26
H: 4.84 -1.59 -0.83
H: 3.16 -2.12 -0.98
H: 3.95 -2.13 0.59
H: 3.71 0.19 0.90
H: 2.30 -0.11 -0.10
H: 3.57 0.50 -2.13
H: 5.02 0.78 -1.20
H: 4.25 2.96 -1.33
H: 2.57 2.47 -1.53
H: -0.41 4.39 0.87
H: -0.39 4.55 -0.91
H: -2.31 3.18 0.52
H: -2.24 2.82 -1.22
H: -1.49 0.66 0.71
H: -3.19 1.09 0.64
H: -3.39 -0.39 -1.10
H: -2.49 0.74 -2.10
H: -1.64 -0.57 -1.25
H: 2.06 5.88 -1.37
H: 3.48 5.11 0.12
C: 1.24 8.69 7.69
O: 1.27 8.08 6.40
C: 0.67 6.89 6.33
O: 0.12 6.33 7.25
O: 0.77 6.44 5.09
C: 0.17 5.16 4.86
H: 1.76 9.63 7.59
H: 0.21 8.85 8.01
H: 1.74 8.05 8.43
H: -0.90 5.20 5.06
H: 0.63 4.40 5.49
H: 0.35 4.94 3.81
C: 0.79 0.92 -3.25
O: 0.98 0.51 -4.60
C: 0.40 -0.65 -4.92
O: -0.25 -1.34 -4.17
O: 0.68 -0.93 -6.19
C: 0.11 -2.15 -6.67
H: 1.31 1.87 -3.16
H: -0.27 1.06 -3.02
H: 1.22 0.19 -2.57
H: -0.97 -2.13 -6.60
H: 0.49 -3.00 -6.09
H: 0.43 -2.23 -7.71
C: -0.46 0.63 3.81
O: -1.35 0.35 4.90
C: -2.58 0.81 4.74
O: -2.99 1.40 3.77
O: -3.30 0.50 5.82
C: -4.66 0.95 5.78
H: 0.49 0.19 4.08
H: -0.84 0.19 2.89
H: -0.35 1.71 3.67
H: -5.18 0.50 4.94
H: -4.70 2.03 5.69
H: -5.10 0.63 6.72
C: -3.28 -3.03 1.92
O: -3.60 -3.46 0.59
C: -4.46 -4.47 0.53
O: -4.95 -5.03 1.48
O: -4.67 -4.78 -0.74
C: -5.56 -5.89 -0.95
H: -2.58 -2.21 1.80
H: -4.17 -2.70 2.44
H: -2.81 -3.84 2.48
H: -6.53 -5.68 -0.52
H: -5.15 -6.80 -0.49
H: -5.63 -6.01 -2.02
C: 7.02 3.42 -6.72
O: 6.35 2.18 -6.99
C: 5.48 1.82 -6.05
O: 5.23 2.43 -5.05
O: 4.93 0.66 -6.41
C: 3.95 0.17 -5.48
H: 7.69 3.57 -7.57
H: 6.30 4.23 -6.66
H: 7.59 3.36 -5.80
H: 3.13 0.86 -5.38
H: 4.42 0.00 -4.51
H: 3.60 -0.77 -5.89
C: -1.97 -7.65 0.18
O: -1.79 -9.03 0.48
C: -2.90 -9.76 0.32
O: -3.97 -9.34 -0.05
O: -2.63 -11.02 0.64
C: -3.74 -11.92 0.52
H: -1.00 -7.18 0.34
H: -2.28 -7.52 -0.86
H: -2.71 -7.21 0.84
H: -4.10 -11.94 -0.51
H: -4.55 -11.61 1.17
H: -3.36 -12.89 0.81

(2)
A 2-piece molecular cluster, C28H23ClNO9S3 overall, computed with ωB97M-V with the def2-TZVPD basis set.

## Properties
- Orbital gap: 0.199 Ha
- Electronic energy: -94349.7274 eV
- 2S+1: 1
- Total charge: -1

CARTESIAN COORDINATES (ANGSTROEM)
O: -4.94 -0.13 1.84
N: -4.18 0.87 1.81
O: -4.61 2.05 1.73
C: -2.77 0.68 1.87
C: -1.92 1.80 1.90
C: -0.56 1.64 2.14
C: -0.04 0.35 2.39
S: 1.66 0.09 2.93
C: 2.65 -0.70 1.68
Cl: 2.61 0.05 0.16
O: 2.18 1.41 3.25
O: 1.61 -0.95 3.93
C: -0.88 -0.77 2.28
C: -2.24 -0.62 2.03
H: -2.37 2.78 1.76
H: 0.09 2.52 2.18
H: 2.33 -1.73 1.66
H: -0.49 -1.77 2.44
H: -2.92 -1.47 2.02
C: 8.04 1.62 5.98
O: 8.22 0.27 5.49
C: 7.32 -0.22 4.60
C: 7.59 -1.50 4.06
C: 6.83 -1.97 3.02
C: 5.71 -1.24 2.54
C: 5.01 -1.81 1.39
C: 5.62 -1.86 0.18
S: 5.41 -3.19 -0.98
C: 4.04 -4.14 -0.34
C: 4.22 -5.38 0.28
C: 3.11 -6.02 0.85
C: 1.84 -5.46 0.76
C: 1.66 -4.24 0.09
C: 2.76 -3.59 -0.47
O: 4.97 -2.60 -2.23
O: 6.59 -4.02 -0.92
S: 7.00 -0.68 -0.15
C: 7.50 -0.90 -1.86
C: 6.83 -0.20 -2.86
C: 7.28 -0.31 -4.18
C: 8.39 -1.10 -4.47
C: 9.05 -1.81 -3.46
C: 8.61 -1.70 -2.14
O: 6.46 0.65 -0.01
O: 8.14 -1.12 0.63
C: 5.37 -0.04 3.18
C: 6.18 0.50 4.16
H: 8.87 1.76 6.68
H: 8.10 2.35 5.16
H: 7.08 1.73 6.50
H: 8.43 -2.06 4.44
H: 7.06 -2.92 2.54
H: 4.17 -2.47 1.55
H: 5.21 -5.82 0.33
H: 3.25 -6.97 1.37
H: 0.98 -5.96 1.20
H: 0.68 -3.78 0.01
H: 2.64 -2.65 -1.00
H: 5.97 0.41 -2.60
H: 6.75 0.24 -4.96
H: 8.75 -1.17 -5.50
H: 9.92 -2.43 -3.67
H: 9.10 -2.23 -1.33
H: 4.45 0.46 2.87
H: 5.95 1.48 4.58

(3)
*/

A 7-piece molecular cluster, C27H56NO21PS overall, computed with ωB97M-V with the def2-TZVPD basis set.
A 2-piece molecular cluster, C28H23ClNO9S3 overall, computed with ωB97M-V with the def2-TZVPD basis set.